About the Book
Four Decades of Student-Friendly Philosophy
About Philosophy is an introductory text that covers all the major fields of philosophy in an easy-to-read language, interspersed with short selections from the major philosophers. It has been a best-selling leader in the field for more than forty years and it is written by an internationally recognized author of more than twenty books.
About the Author: In This Section: I. Author Bio II. Author Letter
I. Author Bio Robert Paul Wolff was born in 1933 in New York City. He was educated at Harvard University, receiving his doctorate in philosophy in 1957. Following a brief period of service in the military, he taught at Harvard, The University of Chicago, Columbia University, and the University of Massachusetts, from which he retired in 2008 after a career spanning half a century. Wolff is the author or editor of twenty-three books, which have been translated into sixteen languages. He is best known around the world for a short book titled
~~~
The following is a DFT calculation (ωB97M-V/def2-TZVPD) of a cluster of 2 separate species, C4H3F2O2 in total in a non-equilibrium geometry.

Last column: Mulliken charge in e.
Cartesian coordinates (Å):
C  2.51648  0.43249  0.17338  0.800
C  -1.22053  -0.09186  0.67493  -0.654
C  -0.96352  0.23572  -0.78630  0.041
C  -1.20475  -1.27124  -0.31975  -0.640
O  2.00085  0.80439  1.15689  -0.404
O  3.19264  0.09685  -0.69919  -0.403
F  0.24024  0.78190  -1.15349  -0.316
F  0.02604  -1.93406  -0.24342  -0.167
H  -0.52339  0.06255  1.38276  0.217
H  -2.18846  0.16849  0.95668  0.254
H  -1.87560  0.71479  -1.14251  0.271

Summary:
Largest force on an atom (eV/Å): 3.5
E_HOMO (hartree): -0.06041
Charge: -1
Kohn-Sham gap (eV): 5.071
Energy above the lowest of the compared OMol25 structures with the same formula, charge and spin (kcal per mole): 39.88
Total energy (eV): -13724.489
2S+1: 1

~~~~~

C27H39BN7O7S2Si2Sn | ωB97M-V with the def2-TZVPD basis set

XYZ file:
```
86
Properties=species:S:1:pos:R:3:forces:R:3
Sn -0.289599 0.236526 0.774733 -0.1345 -0.2309 -0.2311
O 0.517885 2.911036 -3.191969 0.0035 -0.0144 -0.1571
C 0.572860 2.224854 -2.042419 0.3131 0.0388 0.0473
O -0.409399 1.875763 -1.450279 0.3083 0.1891 0.4268
C 1.980833 1.983913 -1.574189 -0.1029 -0.0511 -0.0435
C 3.080475 2.384896 -2.322313 0.0128 -0.0798 0.0013
C 4.338058 2.145168 -1.796494 -0.0227 0.0083 -0.0023
C 4.445936 1.538227 -0.555824 0.0601 -0.0043 -0.0131
C 3.283555 1.178066 0.113304 -0.0494 -0.0406 -0.0971
N 2.077654 1.387387 -0.395744 0.0833 0.2189 0.0760
C 3.311418 0.613567 1.513044 -0.0347 0.0947 0.0956
O 4.443895 -0.007703 1.892873 0.1206 0.0849 0.0410
O 2.426576 0.825115 2.293305 -0.0474 -0.0381 -0.0349
H -0.407627 2.888211 -3.483058 -0.0442 0.0042 -0.0032
H 2.941567 2.858197 -3.282448 0.0012 0.0072 -0.0016
H 5.225622 2.437502 -2.341496 0.0029 0.0015 -0.0033
H 5.413772 1.369565 -0.104030 -0.0232 -0.0306 0.0194
H 4.720803 -0.602305 1.180049 -0.0758 -0.1128 -0.0415
C 0.816531 -1.269710 4.276390 -0.0399 -0.0270 0.0380
N 0.175989 -0.005229 4.595618 0.0121 0.0904 -0.0953
C 0.685060 0.915315 5.485525 -0.0286 0.0002 0.0446
C -0.203531 1.929973 5.546354 0.0023 -0.0243 0.0666
N -1.248933 1.638437 4.705551 0.0158 -0.0567 -0.1701
B -2.482531 2.545746 4.494592 0.0175 -0.0009 -0.0663
N -2.557758 3.152293 3.031811 0.0428 0.0011 0.0115
C -3.745896 3.720442 2.637568 -0.0297 0.0031 -0.0661
C -3.561600 4.330058 1.447520 -0.0365 -0.0181 0.0523
N -2.241650 4.125563 1.108862 0.0109 -0.0207 -0.0041
C -1.609357 4.626640 -0.090574 -0.0195 0.0179 -0.0191
C -1.634116 3.389458 2.081488 0.0264 0.0109 0.2001
S 0.013001 2.901213 2.038972 -0.1392 0.0474 -0.1003
C -0.994643 0.461729 4.106219 -0.0686 0.0397 0.0331
S -1.982841 -0.291196 2.909236 0.1563 -0.0311 0.0551
H 0.890741 -1.874829 5.180381 0.0140 0.0051 0.0022
H 1.805772 -1.086111 3.865725 0.0164 -0.0095 0.0087
H 0.222433 -1.793145 3.535561 0.0031 -0.0002 -0.0013
H 1.628067 0.761861 5.977849 0.0060 -0.0014 -0.0104
~~~
• End of the quantum chemistry results:
In Defense of Anarchism, which has most recently appeared in Croatian, Malaysian, and Korean. For a somewhat more extended biography, you may consult the article on him on Wikipedia.com. Those who want to know every last detail of his life may read his eight hundred page, three volume, autobiography, which is posted on box.net and is accessible from his blog: www.robertpaulwolff.blogspot.com. Wolff is married to his childhood sweetheart, Susan, and lives in Chapel Hill, NC. He has two sons: Patrick Gideon Wolff, a famous International Chess Grandmaster who now is the Managing Director of a hedge fund, Grandmaster Capital, and Tobias Barrington Wolff, a leading Gay Rights legal activist and Professor of Law at the University of Pennsylvania. Wolff has one cat, named Christmas Eve. In 1990, after several years of activity in the movement to end apartheid in South Africa and liberate the South African people, Wolff founded University Scholarships for South African Students, which has in the past two decades helped more than one thousand five hundred young Black men and women in South Africa get a higher education. In March, 2011, Wolff was awarded an honorary doctorate by the University of the Western Cape in South Africa in recognition of his work for South African higher education.
II. Author Letter Dear Colleagues, With this eleventh edition,
About Philosophy approaches the completion of its fourth decade. Now, we philosophers are trained to view questions under the aspect of eternity,
## Someone pasted molecular data at this point
(1)
85
Properties=species:S:1:pos:R:3 method="wB97M-V/def2-TZVPD" s_squared=6.05 max_force_ha_per_bohr=0.0418 spin_multiplicity=5 homo_lumo_gap_ev="7.0723 / 5.0841" charge=+1
Ir -0.073 -2.037 -0.945
C -2.564 5.539 -2.285
O -2.399 4.307 -1.611
C -3.294 3.938 -0.660
C -4.365 4.696 -0.209
C -5.179 4.210 0.802
C -4.971 2.946 1.328
C -3.937 2.156 0.858
C -3.072 2.653 -0.107
N -2.005 1.949 -0.662
C -1.439 0.771 -0.307
N -1.487 0.435 0.998
C -1.127 -0.731 1.666
C -0.410 -1.795 1.097
C -0.056 -2.862 1.930
C -0.439 -2.898 3.254
C -1.209 -1.874 3.795
C -1.548 -0.782 3.022
O -2.295 0.282 3.441
C -2.939 0.223 4.701
N -0.794 0.047 -1.195
C -0.870 0.347 -2.564
C 0.329 0.406 -3.284
C 0.348 0.778 -4.611
C -0.843 1.097 -5.251
C -2.042 0.972 -4.576
C -2.087 0.578 -3.241
O -3.319 0.542 -2.641
C -3.736 -0.635 -1.968
H -1.673 5.645 -2.903
H -2.623 6.379 -1.586
H -3.455 5.522 -2.919
H -4.575 5.661 -0.644
H -5.989 4.818 1.168
H -5.622 2.556 2.094
H -3.847 1.143 1.217
H -1.752 2.298 -1.582
H -1.888 1.131 1.618
H 0.521 -3.687 1.533
H -0.160 -3.735 3.874
H -1.530 -1.949 4.820
H -2.222 0.099 5.517
H -3.671 -0.589 4.734
H -3.445 1.182 4.806
H 1.246 0.176 -2.758
H 1.284 0.822 -5.145
H -0.834 1.419 -6.281
H -2.981 1.158 -5.071
H -4.799 -0.489 -1.782
H -3.223 -0.791 -1.012
H -3.601 -1.520 -2.594
C 2.869 -0.965 3.568
C 3.930 -1.873 2.947
N 5.002 -1.128 2.330
C 5.976 -0.495 3.212
C 5.803 1.015 3.301
C 5.209 -0.996 1.007
O 6.132 -0.356 0.541
C 4.292 -1.711 0.041
C 4.893 -2.497 -0.941
C 4.094 -3.126 -1.880
C 2.725 -2.943 -1.821
N 2.148 -2.144 -0.922
C 2.918 -1.529 -0.020
H 2.053 -1.574 3.949
H 2.475 -0.273 2.828
H 3.284 -0.389 4.391
H 3.476 -2.523 2.199
H 4.357 -2.510 3.728
H 6.972 -0.715 2.819
H 5.880 -0.940 4.202
H 5.921 1.459 2.319
H 6.563 1.421 3.961
H 4.826 1.281 3.693
H 5.967 -2.583 -0.977
H 4.517 -3.734 -2.662
H 2.077 -3.430 -2.536
H 2.415 -0.847 0.649
O -1.464 -3.249 -1.889
N -0.409 -3.127 -2.646
C -0.456 -2.706 -3.917
C 0.752 -2.533 -4.602
N 1.757 -2.352 -5.132
C -1.649 -2.369 -4.568
N -2.647 -2.067 -5.053

=====

(2)
7
Properties=species:S:1:pos:R:3 method="wB97M-V/def2-TZVPD" max_force_ha_per_bohr=0.1161 homo_lumo_gap_ev="4.1575 / 4.1267" relative_energy_kj_mol=283.4 charge=0
C 0.963 0.010 0.738
C 0.373 -0.546 -0.196
C -0.552 -1.018 -1.142
Cl -0.538 -0.574 -2.718
Br -3.721 0.285 -2.596
H 1.562 0.244 1.505
H -1.358 -1.629 -0.914

=====

(3)
8
Properties=species:S:1:pos:R:3 method="wB97M-V/def2-TZVPD" max_force_ha_per_bohr=0.0044 homo_lumo_gap_ev=10.5980 relative_energy_kj_mol=387.2 charge=0
O -1.057 -1.610 0.780
C -0.439 -0.534 0.506
N -0.630 -0.252 -0.773
O 0.330 0.701 -1.114
C 0.867 1.001 0.078
N 0.458 0.321 1.103
H -1.126 -1.429 -0.650
H 1.597 1.803 0.069

=====

(4)
16
Properties=species:S:1:pos:R:3 method="wB97M-V/def2-TZVPD" max_force_ha_per_bohr=0.0928 homo_lumo_gap_ev=10.0358 relative_energy_kj_mol=179.4 charge=+1 smiles=Br[C@H]1C[C@@]12CC[NH2+]2
C -0.146 -0.207 -1.355
C 0.974 1.599 0.538
C -1.067 -1.110 -0.562
C 2.017 0.520 0.604
C 0.436 0.363 -0.084
sub specie aeternitatis, so forty years is as nothing to us. But though we live with the eternal, our students very definitely do not! Despite our best efforts to remain
au courant, we cannot keep up with the ever-changing world in which they live. Just this past semester, I mentioned Gilbert and Sullivan's light operas to a class of bright graduate students, and they looked at me blankly. As Heraclitus reminded us a mere two and a half millennia ago, "you can never step into the same river twice, for other waters are ever flowing onto you." In a continuing effort to accommodate
About Philosophy to the mercurial frame of reference of our students, I have regularly replaced old "Contemporary Applications" with new ones. Almost that entire portion of the text has been completely redone for this edition. My favorite is the Contemporary Application for the chapter on the Philosophy of Art, which features a painting done by a dog. I have looked at that painting right side up, upside down, and sideways, and I have to confess that I cannot see how it differs from the abstract expressionist paintings now commanding six and seven figure prices at art auctions. Anyone my age grew up in a linear world of books, but my grandchildren inhabit a multi-dimensional world of hypertexts. They move easily from text to text, site to site, linking ideas and texts in ways I never would have thought to do. I am confident that we have struck the right balance between the eternal and the fleeting. The basic philosophical ideas and arguments are still here -- they do not change. But this material will now be available to our students in ways that they are comfortable with. I look forward to hearing from you abut how it all works together. Thank you once again for your loyalty to this text, and for the invaluable suggestions you have made over the years for its improvement. My email address is rwolff@afroam.umass.edu. Sincerely,
Robert P. Wolff Professor Emeritus University of Massachusetts, Amherst Blog: www.robertpaulwolff.blogspot.com